Your job: set down the notes further down unchanged.
No. 1
A plane-wave DFT calculation with GGA-PBEsol was carried out for a relaxed structure of Ce2C2Cl.

Properties
magnetic moment = 2.0 μB per cell
density = 6.32 g cm⁻³
raw formation energy = -0.8756 eV per atom

Cell lengths 4.0846, 6.4273, 7.2177 Å; angles 100.27, 106.44, 90.00 degrees
Closest atoms and distances in Å follow each position.
Fractional coordinates of all 10 atoms:
Ce 0.5360 0.3535 0.7041  2 C 2.27-2.52
Ce 0.8319 0.1465 0.2959  2 C 2.27-2.52
Ce 0.4640 0.6465 0.2959  2 C 2.27-2.52
Ce 0.1681 0.8535 0.7041  2 C 2.27-2.52
C 0.9074 0.4732 0.5599  1 C 1.38
C 0.3475 0.0268 0.4401  1 C 1.38
C 0.0926 0.5268 0.4401  1 C 1.38
C 0.6525 0.9732 0.5599  1 C 1.38
Cl 0.1941 0.2500 0.0000  6 Ce 3.00-3.08
Cl 0.8059 0.7500 0.0000  6 Ce 3.00-3.08

No. 2
A plane-wave DFT calculation with GGA-PBEsol was carried out for a relaxed structure of CeCoC2.

Properties
magnetic moment = 0.4 μB per cell
E = -70.0 eV for the cell shown
density = 7.59 g cm⁻³

Cell lengths 3.6862, 3.6862, 7.2962 Å; angles 82.86, 82.86, 90.02 degrees
Closest atoms and distances in Å follow each position.
Fractional coordinates of all 8 atoms:
Ce 0.0603 0.9332 0.9990  8 C 2.60-2.71
Ce 0.9332 0.0603 0.4990  8 C 2.60-2.71
Co 0.3777 0.5090 0.6952  4 C 1.91-1.96
Co 0.5090 0.3777 0.1952  4 C 1.91-1.96
C 0.4434 0.5919 0.4289  1 C 1.40
C 0.5919 0.4434 0.9289  1 C 1.40
C 0.4902 0.8614 0.2738  1 C 1.40
C 0.8614 0.4902 0.7738  1 C 1.40

~~~~~

No. 1
Entry from Alexandria: a geometry-optimized YMnAg structure (PBEsol).

Magnetic moment = 3.4 μB per formula unit
Space group = F-43m

Cell: 4.5135 4.5135 4.5135 Å, 60.00 60.00 60.00°
Closest atoms and distances in Å follow each position.
Fractional coordinates of all 3 atoms:
Y: 0.0000 0.0000 0.0000  4 Mn 2.76
Mn: 0.2500 0.2500 0.2500  4 Ag 2.76, 4 Y 2.76
Ag: 0.5000 0.5000 0.5000  4 Mn 2.76



No. 2
Entry from Alexandria: a geometry-optimized YMnAg structure (PBEsol).

Magnetic moment = 3.6 μB per formula unit
Space group = F-43m

Cell: 4.6671 4.6671 4.6671 Å, 60.00 60.00 60.00°
Closest atoms and distances in Å follow each position.
Fractional coordinates of all 3 atoms:
Mn: 0.5000 0.5000 0.5000  4 Y 2.86
Ag: 0.0000 0.0000 0.0000  4 Y 2.86
Y: 0.2500 0.2500 0.2500  4 Mn 2.86, 4 Ag 2.86



no.,energy of formation (eV per atom)
1,0.47
2,0.84

~~~~~

# TbTlRh2, relaxed, DFT PBE
# * crystal system: tetragonal
# * ΔH_f (0 K): -0.552 eV per atom
# * space group: P4/mmm, No. 123
# * calculated density: 12.6 g/cm³
data_TbTlRh2
_chemical_formula_sum 'Tb1 Tl1 Rh2'
_cell_length_a 4.513
_cell_length_b 4.513
_cell_length_c 3.676
_cell_angle_alpha 90.00
_cell_angle_beta 90.00
_cell_angle_gamma 90.00
_space_group_name_H-M_alt 'P 1'
_space_group_IT_number 1
loop_
_space_group_symop_operation_xyz
'x,y,z'
loop_
_atom_site_label
_atom_site_type_symbol
_atom_site_fract_x
_atom_site_fract_y
_atom_site_fract_z
Tb1 Tb 0.000 0.000 0.000
Tl1 Tl 0.500 0.500 0.000
Rh1 Rh 0.000 0.500 0.500
Rh2 Rh 0.500 0.000 0.500

# PaSnTe2, relaxed, DFT PBE
# * crystal system: tetragonal
# * raw formation energy: -486 meV/atom
# * space group: P4/mmm, No. 123
# * calculated density: 9.0 g/cm³
data_PaSnTe2
_chemical_formula_sum 'Pa1 Sn1 Te2'
_cell_length_a 3.813
_cell_length_b 3.813
_cell_length_c 7.652
_cell_angle_alpha 90.00
_cell_angle_beta 90.00
_cell_angle_gamma 90.00
_space_group_name_H-M_alt 'P 1'
_space_group_IT_number 1
loop_
_space_group_symop_operation_xyz
'x,y,z'
loop_
_atom_site_label
_atom_site_type_symbol
_atom_site_fract_x
_atom_site_fract_y
_atom_site_fract_z
Pa1 Pa 0.000 0.000 0.000
Sn1 Sn 0.000 0.000 0.500
Te1 Te 0.500 0.500 0.222
Te2 Te 0.500 0.500 0.778

# ScHgMo2, relaxed, DFT PBE
# * crystal system: monoclinic
# * ΔH_f (0 K): 0.306 eV per atom
# * space group: C2/m, No. 12
# * calculated density: 10.1 g/cm³
data_ScHgMo2
_chemical_formula_sum 'Sc1 Hg1 Mo2'
_cell_length_a 5.553
_cell_length_b 5.553
_cell_length_c 2.823
_cell_angle_alpha 99.16
_cell_angle_beta 99.16
_cell_angle_gamma 119.36
_space_group_name_H-M_alt 'P 1'
_space_group_IT_number 1
No. 1
A plane-wave DFT calculation with GGA-PBEsol was carried out for a relaxed structure of Ce2C2Cl.

Properties
magnetic moment = 2.0 μB per cell
density = 6.32 g cm⁻³
raw formation energy = -0.8756 eV per atom

Cell lengths 4.0846, 6.4273, 7.2177 Å; angles 100.27, 106.44, 90.00 degrees
Closest atoms and distances in Å follow each position.
Fractional coordinates of all 10 atoms:
Ce 0.5360 0.3535 0.7041  2 C 2.27-2.52
Ce 0.8319 0.1465 0.2959  2 C 2.27-2.52
Ce 0.4640 0.6465 0.2959  2 C 2.27-2.52
Ce 0.1681 0.8535 0.7041  2 C 2.27-2.52
C 0.9074 0.4732 0.5599  1 C 1.38
C 0.3475 0.0268 0.4401  1 C 1.38
C 0.0926 0.5268 0.4401  1 C 1.38
C 0.6525 0.9732 0.5599  1 C 1.38
Cl 0.1941 0.2500 0.0000  6 Ce 3.00-3.08
Cl 0.8059 0.7500 0.0000  6 Ce 3.00-3.08

No. 2
A plane-wave DFT calculation with GGA-PBEsol was carried out for a relaxed structure of CeCoC2.

Properties
magnetic moment = 0.4 μB per cell
E = -70.0 eV for the cell shown
density = 7.59 g cm⁻³

Cell lengths 3.6862, 3.6862, 7.2962 Å; angles 82.86, 82.86, 90.02 degrees
Closest atoms and distances in Å follow each position.
Fractional coordinates of all 8 atoms:
Ce 0.0603 0.9332 0.9990  8 C 2.60-2.71
Ce 0.9332 0.0603 0.4990  8 C 2.60-2.71
Co 0.3777 0.5090 0.6952  4 C 1.91-1.96
Co 0.5090 0.3777 0.1952  4 C 1.91-1.96
C 0.4434 0.5919 0.4289  1 C 1.40
C 0.5919 0.4434 0.9289  1 C 1.40
C 0.4902 0.8614 0.2738  1 C 1.40
C 0.8614 0.4902 0.7738  1 C 1.40

~~~~~

No. 1
Entry from Alexandria: a geometry-optimized YMnAg structure (PBEsol).

Magnetic moment = 3.4 μB per formula unit
Space group = F-43m

Cell: 4.5135 4.5135 4.5135 Å, 60.00 60.00 60.00°
Closest atoms and distances in Å follow each position.
Fractional coordinates of all 3 atoms:
Y: 0.0000 0.0000 0.0000  4 Mn 2.76
Mn: 0.2500 0.2500 0.2500  4 Ag 2.76, 4 Y 2.76
Ag: 0.5000 0.5000 0.5000  4 Mn 2.76



No. 2
Entry from Alexandria: a geometry-optimized YMnAg structure (PBEsol).

Magnetic moment = 3.6 μB per formula unit
Space group = F-43m

Cell: 4.6671 4.6671 4.6671 Å, 60.00 60.00 60.00°
Closest atoms and distances in Å follow each position.
Fractional coordinates of all 3 atoms:
Mn: 0.5000 0.5000 0.5000  4 Y 2.86
Ag: 0.0000 0.0000 0.0000  4 Y 2.86
Y: 0.2500 0.2500 0.2500  4 Mn 2.86, 4 Ag 2.86



no.,energy of formation (eV per atom)
1,0.47
2,0.84

~~~~~

# TbTlRh2, relaxed, DFT PBE
# * crystal system: tetragonal
# * ΔH_f (0 K): -0.552 eV per atom
# * space group: P4/mmm, No. 123
# * calculated density: 12.6 g/cm³
data_TbTlRh2
_chemical_formula_sum 'Tb1 Tl1 Rh2'
_cell_length_a 4.513
_cell_length_b 4.513
_cell_length_c 3.676
_cell_angle_alpha 90.00
_cell_angle_beta 90.00
_cell_angle_gamma 90.00
_space_group_name_H-M_alt 'P 1'
_space_group_IT_number 1
loop_
_space_group_symop_operation_xyz
'x,y,z'
loop_
_atom_site_label
_atom_site_type_symbol
_atom_site_fract_x
_atom_site_fract_y
_atom_site_fract_z
Tb1 Tb 0.000 0.000 0.000
Tl1 Tl 0.500 0.500 0.000
Rh1 Rh 0.000 0.500 0.500
Rh2 Rh 0.500 0.000 0.500

# PaSnTe2, relaxed, DFT PBE
# * crystal system: tetragonal
# * raw formation energy: -486 meV/atom
# * space group: P4/mmm, No. 123
# * calculated density: 9.0 g/cm³
data_PaSnTe2
_chemical_formula_sum 'Pa1 Sn1 Te2'
_cell_length_a 3.813
_cell_length_b 3.813
_cell_length_c 7.652
_cell_angle_alpha 90.00
_cell_angle_beta 90.00
_cell_angle_gamma 90.00
_space_group_name_H-M_alt 'P 1'
_space_group_IT_number 1
loop_
_space_group_symop_operation_xyz
'x,y,z'
loop_
_atom_site_label
_atom_site_type_symbol
_atom_site_fract_x
_atom_site_fract_y
_atom_site_fract_z
Pa1 Pa 0.000 0.000 0.000
Sn1 Sn 0.000 0.000 0.500
Te1 Te 0.500 0.500 0.222
Te2 Te 0.500 0.500 0.778

# ScHgMo2, relaxed, DFT PBE
# * crystal system: monoclinic
# * ΔH_f (0 K): 0.306 eV per atom
# * space group: C2/m, No. 12
# * calculated density: 10.1 g/cm³
data_ScHgMo2
_chemical_formula_sum 'Sc1 Hg1 Mo2'
_cell_length_a 5.553
_cell_length_b 5.553
_cell_length_c 2.823
_cell_angle_alpha 99.16
_cell_angle_beta 99.16
_cell_angle_gamma 119.36
_space_group_name_H-M_alt 'P 1'
_space_group_IT_number 1